• Activity:
Echo the data further below from the line with "0.44 1.53" to the end verbatim.

• Excerpt:
+++
Formula: C3H4ClNO
Source: OMol25
Level of theory: ωB97M-V/def2-TZVPD

## Properties
SMILES: C=C=O.C=NCl
LUMO energy in eV: 0.860
Electronic energy in Ha: -706.80398
Kohn-Sham gap in eV: 10.19
ΔE to the lowest compared entry with this formula, charge and spin in kcal per mole: 61.32

The geometry in ORCA input format:
```
! wB97M-V def2-TZVPD RIJCOSX def2/J DEFGRID3
* xyz 0 1
C 1.24 1.29 0.10
C 2.14 1.03 -0.78
C -1.46 -1.48 0.63
N -1.66 -0.67 -0.29
O 0.44 1.53 0.91
Cl -3.11 0.23 -0.30
H 2.12 1.44 -1.77
H 2.95 0.36 -0.54
H -2.13 -1.71 1.46
H -0.52 -2.02 0.59
*
```

Results of the natural (NBO) charge analysis, in e, for atoms 1 through 8: 0.7280 -0.7965 -0.0673 -0.3899 -0.4575 0.0952 0.2648 0.2611

* * * * *

[1]
Density functional theory data (ωB97M-V/def2-TZVPD) for a molecular structure, C11H10IrN3O9S2 at a distorted geometry.

Structure (XYZ):
```
36
Properties=species:S:1:pos:R:3:forces:R:3
C 1.218 3.017 -0.015 -0.04 -0.02 -0.08
C -0.776 -2.128 0.635 -0.60 -0.17 0.33
C -0.663 2.265 -4.558 0.18 -0.03 -0.02
O 2.400 -0.563 2.857 0.01 -0.13 -0.07
H -1.648 2.653 -4.340 -0.04 0.02 0.01
O -1.812 -0.468 -2.792 -0.92 -0.35 -0.30
C 1.589 -1.784 0.934 0.01 -0.20 -0.12
C -0.109 1.313 -3.721 -0.04 0.22 -0.13
O 1.098 0.496 1.386 0.47 -0.26 0.14
C 1.338 2.210 -5.910 -0.04 0.04 -0.05
H 2.899 0.879 -5.221 0.02 -0.01 -0.01
O 2.083 0.479 -1.581 -0.05 -0.38 0.50
N 0.368 -1.574 0.176 0.21 0.61 -0.35
C 1.908 1.276 -5.056 -0.05 0.06 0.06
H -0.364 3.445 -6.319 0.00 0.00 -0.02
C -1.994 -1.268 0.310 0.01 0.05 0.08
C 1.181 0.841 -3.965 -0.11 0.16 0.00
N -1.588 0.165 0.414 0.07 -0.17 0.19
H 1.528 -2.690 1.532 0.00 0.00 0.00
O 2.899 -1.067 -3.344 0.43 0.48 -0.02
N 2.111 3.689 0.292 0.03 0.02 -0.01
O -0.882 -3.162 1.275 0.13 0.16 -0.16
C 0.066 2.705 -5.657 -0.01 0.01 -0.02
H -2.248 0.763 -0.084 0.06 0.17 -0.06
H -1.542 0.495 1.376 0.09 -0.15 0.06
O 0.570 -1.103 -2.563 1.20 -0.81 -0.10
H -2.803 -1.511 0.995 0.01 0.01 0.00
O -2.005 1.825 -2.005 -0.56 0.74 0.14
H 2.448 -1.850 0.262 -0.01 0.01 0.00
Ir 0.269 0.318 -0.450 -0.98 0.84 -0.22
S 1.788 -0.339 -2.816 -0.56 -0.71 -0.18
H -2.309 -1.430 -0.722 0.02 -0.04 0.00
S -1.131 0.725 -2.351 1.03 -0.40 0.26
C 1.758 -0.559 1.836 0.04 0.28 0.19
O 0.194 2.356 -0.366 -0.02 -0.07 -0.07
H 1.889 2.554 -6.775 0.01 0.02 0.00
```
Forces are in eV/Å.

Calculated values
Charge   -1
Lowest unoccupied orbital energy (spin up / spin down)   2.428 / 0.585 eV
Kohn-Sham gap (spin up / spin down)   8.450 / 6.997 eV
HOMO energy (spin up / spin down)   -6.0 / -6.4 eV
Electronic energy   -58978.596 eV
Spin multiplicity   2
Molecular weight   584.56 g mol⁻¹



[2]
Density functional theory data (ωB97M-V/def2-TZVPD) for a single C11H10O molecule at a distorted geometry.

Structure (XYZ):
```
22
Properties=species:S:1:pos:R:3:forces:R:3
H 3.120 1.051 0.401 0.16 0.43 0.02
C -0.457 2.487 -0.004 -2.67 2.20 0.97
H -2.573 1.853 -0.496 1.62 0.03 -0.25
C 0.027 -0.217 -0.112 1.52 -0.38 -1.08
C -1.484 1.523 -0.448 -1.81 4.28 1.91
C -2.435 -0.816 -0.358 -0.19 -1.51 0.48
C -1.301 0.235 -0.354 0.64 -4.65 0.18
H -2.426 -1.671 -1.243 -0.20 2.76 2.06
H 3.924 -1.094 -0.131 -2.46 -0.17 0.36
H -3.346 -0.158 -0.249 0.41 -1.36 -0.63
H -0.353 -2.234 -0.230 -0.29 -1.13 -0.79
C 0.473 -1.583 -0.396 0.11 1.83 3.09
H -2.106 -1.281 1.768 -1.07 -1.37 -3.66
C 1.785 -1.992 -0.165 -1.57 2.47 -1.44
C 2.348 0.325 0.229 0.33 -0.74 -0.45
O -2.401 -1.773 0.854 1.11 3.06 1.38
C 0.997 0.756 0.199 2.45 -1.05 -0.11
C 2.764 -0.948 -0.048 1.79 -0.92 0.35
H 1.863 -3.034 -0.247 1.20 -1.20 0.02
H -0.830 3.530 0.355 0.59 -1.62 -1.58
H 1.607 2.893 0.323 -0.28 -0.53 0.96
C 0.804 2.146 0.353 -1.40 -0.43 -1.78
```
Forces are in eV/Å.

Calculated values
Lowest unoccupied orbital energy   0.423 eV
Kohn-Sham gap   8.931 eV
HOMO energy   -8.5 eV
Electronic energy   -13613.893 eV
Molecular weight   158.20 g mol⁻¹
SMILES   OCc1cccc2ccccc12



[3]
Density functional theory data (ωB97M-V/def2-TZVPD) for a single C11H10O2 molecule at a distorted geometry.

Structure (XYZ):
```
23
+++

• Written answer:
O 0.44 1.53 0.91
Cl -3.11 0.23 -0.30
H 2.12 1.44 -1.77
H 2.95 0.36 -0.54
H -2.13 -1.71 1.46
H -0.52 -2.02 0.59
*
```

Results of the natural (NBO) charge analysis, in e, for atoms 1 through 8: 0.7280 -0.7965 -0.0673 -0.3899 -0.4575 0.0952 0.2648 0.2611

* * * * *

[1]
Density functional theory data (ωB97M-V/def2-TZVPD) for a molecular structure, C11H10IrN3O9S2 at a distorted geometry.

Structure (XYZ):
```
36
Properties=species:S:1:pos:R:3:forces:R:3
C 1.218 3.017 -0.015 -0.04 -0.02 -0.08
C -0.776 -2.128 0.635 -0.60 -0.17 0.33
C -0.663 2.265 -4.558 0.18 -0.03 -0.02
O 2.400 -0.563 2.857 0.01 -0.13 -0.07
H -1.648 2.653 -4.340 -0.04 0.02 0.01
O -1.812 -0.468 -2.792 -0.92 -0.35 -0.30
C 1.589 -1.784 0.934 0.01 -0.20 -0.12
C -0.109 1.313 -3.721 -0.04 0.22 -0.13
O 1.098 0.496 1.386 0.47 -0.26 0.14
C 1.338 2.210 -5.910 -0.04 0.04 -0.05
H 2.899 0.879 -5.221 0.02 -0.01 -0.01
O 2.083 0.479 -1.581 -0.05 -0.38 0.50
N 0.368 -1.574 0.176 0.21 0.61 -0.35
C 1.908 1.276 -5.056 -0.05 0.06 0.06
H -0.364 3.445 -6.319 0.00 0.00 -0.02
C -1.994 -1.268 0.310 0.01 0.05 0.08
C 1.181 0.841 -3.965 -0.11 0.16 0.00
N -1.588 0.165 0.414 0.07 -0.17 0.19
H 1.528 -2.690 1.532 0.00 0.00 0.00
O 2.899 -1.067 -3.344 0.43 0.48 -0.02
N 2.111 3.689 0.292 0.03 0.02 -0.01
O -0.882 -3.162 1.275 0.13 0.16 -0.16
C 0.066 2.705 -5.657 -0.01 0.01 -0.02
H -2.248 0.763 -0.084 0.06 0.17 -0.06
H -1.542 0.495 1.376 0.09 -0.15 0.06
O 0.570 -1.103 -2.563 1.20 -0.81 -0.10
H -2.803 -1.511 0.995 0.01 0.01 0.00
O -2.005 1.825 -2.005 -0.56 0.74 0.14
H 2.448 -1.850 0.262 -0.01 0.01 0.00
Ir 0.269 0.318 -0.450 -0.98 0.84 -0.22
S 1.788 -0.339 -2.816 -0.56 -0.71 -0.18
H -2.309 -1.430 -0.722 0.02 -0.04 0.00
S -1.131 0.725 -2.351 1.03 -0.40 0.26
C 1.758 -0.559 1.836 0.04 0.28 0.19
O 0.194 2.356 -0.366 -0.02 -0.07 -0.07
H 1.889 2.554 -6.775 0.01 0.02 0.00
```
Forces are in eV/Å.

Calculated values
Charge   -1
Lowest unoccupied orbital energy (spin up / spin down)   2.428 / 0.585 eV
Kohn-Sham gap (spin up / spin down)   8.450 / 6.997 eV
HOMO energy (spin up / spin down)   -6.0 / -6.4 eV
Electronic energy   -58978.596 eV
Spin multiplicity   2
Molecular weight   584.56 g mol⁻¹



[2]
Density functional theory data (ωB97M-V/def2-TZVPD) for a single C11H10O molecule at a distorted geometry.

Structure (XYZ):
```
22
Properties=species:S:1:pos:R:3:forces:R:3
H 3.120 1.051 0.401 0.16 0.43 0.02
C -0.457 2.487 -0.004 -2.67 2.20 0.97
H -2.573 1.853 -0.496 1.62 0.03 -0.25
C 0.027 -0.217 -0.112 1.52 -0.38 -1.08
C -1.484 1.523 -0.448 -1.81 4.28 1.91
C -2.435 -0.816 -0.358 -0.19 -1.51 0.48
C -1.301 0.235 -0.354 0.64 -4.65 0.18
H -2.426 -1.671 -1.243 -0.20 2.76 2.06
H 3.924 -1.094 -0.131 -2.46 -0.17 0.36
H -3.346 -0.158 -0.249 0.41 -1.36 -0.63
H -0.353 -2.234 -0.230 -0.29 -1.13 -0.79
C 0.473 -1.583 -0.396 0.11 1.83 3.09
H -2.106 -1.281 1.768 -1.07 -1.37 -3.66
C 1.785 -1.992 -0.165 -1.57 2.47 -1.44
C 2.348 0.325 0.229 0.33 -0.74 -0.45
O -2.401 -1.773 0.854 1.11 3.06 1.38
C 0.997 0.756 0.199 2.45 -1.05 -0.11
C 2.764 -0.948 -0.048 1.79 -0.92 0.35
H 1.863 -3.034 -0.247 1.20 -1.20 0.02
H -0.830 3.530 0.355 0.59 -1.62 -1.58
H 1.607 2.893 0.323 -0.28 -0.53 0.96
C 0.804 2.146 0.353 -1.40 -0.43 -1.78
```
Forces are in eV/Å.

Calculated values
Lowest unoccupied orbital energy   0.423 eV
Kohn-Sham gap   8.931 eV
HOMO energy   -8.5 eV
Electronic energy   -13613.893 eV
Molecular weight   158.20 g mol⁻¹
SMILES   OCc1cccc2ccccc12



[3]
Density functional theory data (ωB97M-V/def2-TZVPD) for a single C11H10O2 molecule at a distorted geometry.

Structure (XYZ):
```
23